

Our short story of the week is a historical fiction story by Nick Cooke.

Nick Cooke was born in London in 1961 and attended Christ’s College Cambridge, where he graduated in English Literature. He spent six years in Turin, Italy, as a teacher and translator, before returning to London in 1989, since when he has worked in Further Education as an EFL/ESOL curriculum leader and teacher, and a CELTA teacher trainer. He combines this with writing and other interests including politics, sport and music. For some years in the Noughties he was a songwriter, vocalist and rhythm guitarist in a post-punk band named Live Wires.

Having been keen on writing poetry at school and university, he started writing on a serious basis in his mid-twenties, and produced a collection of stories in the late 1980s. Since then he has completed three novels, plus a novella, and has three more fiction projects in the pipeline. He has had four stories published in various outlets, along with around fifty poems and twenty reviews of poetry collections. One poem won a Wax Poetry and Art competition in 2016 and several poems have been given Commended or Highly Commended status in other competitions. He has also written around twenty stage plays, some of which have been longlisted in competitions, and eight film scripts.

Prey unfolds against the background of an authoritarian regime, following the havoc wreaked by a strange spider.

- - -
The following is a computed X-ray diffraction stick pattern of NaMn2CoOs. It was derived from the PBE geometry in Alexandria, using CuKα.

Peak list (12 most intense, 2θ = 5–70°, in order of falling intensity)
| (hkl) | d [Å] | two_theta | I (rel.) |
| --- | --- | --- | --- |
| 1 1 1 | 2.455 | 36.61 | 100 |
| 2 0 0 | 2.070 | 43.74 | 39 |
| 1 0 0 | 4.140 | 21.47 | 37 |
| 2 0 2 | 1.524 | 60.77 | 28 |
| 0 0 2 | 2.253 | 40.02 | 25 |
| 1 1 0 | 2.927 | 30.54 | 18 |
| 1 0 1 | 3.048 | 29.30 | 15 |
| 2 2 0 | 1.464 | 63.57 | 12 |
| 0 0 1 | 4.506 | 19.70 | 12 |
| 1 0 2 | 1.979 | 45.86 | 11 |
| 1 1 2 | 1.785 | 51.16 | 9 |
| 2 1 0 | 1.851 | 49.22 | 9 |

Cell and atoms:
```
data_NaMn2CoOs
_symmetry_space_group_name_H-M 'P 4/m m m'
_symmetry_Int_Tables_number 123
_symmetry_space_group_name_Hall '-P 4 2'
_cell_length_a 4.140
_cell_length_b 4.140
_cell_length_c 4.506
_cell_angle_alpha 90.00
_cell_angle_beta 90.00
_cell_angle_gamma 90.00
loop_
_atom_site_label
_atom_site_fract_x
_atom_site_fract_y
_atom_site_fract_z
Na1 0.000 0.000 0.000
Mn1 0.000 0.500 0.000
Co1 0.500 0.500 0.500
Os1 0.000 0.000 0.500
```

* * * * *

Entry 1:
Structure and calculated powder X-ray diffraction pattern of Nd2Ge2Pd3Pt (a DFT-relaxed cell (PBE, OQMD); Cu Kα X-rays).

Structure:
Unit cell a=4.441 b=4.441 c=9.398 alpha=90.00 beta=90.00 gamma=120.00
Sites, in units of the cell vectors:
Nd 0.000 0.000 0.000
Nd 0.333 0.667 0.498
Ge 0.667 0.333 0.243
Ge 0.667 0.333 0.746
Pd 0.000 0.000 0.329
Pd 0.000 0.000 0.672
Pd 0.333 0.667 0.823
Pt 0.333 0.667 0.172

Main lines, most intense first (15 to 90 degrees two-theta):
| 2θ/deg | I (rel.) |
| --- | --- |
| 37.01 | 100.0 |
| 40.63 | 73.0 |
| 56.12 | 29.9 |
| 71.55 | 28.7 |
| 23.13 | 23.9 |
| 73.93 | 12.3 |

---

Entry 2:
Structure and calculated powder X-ray diffraction pattern of Nd3Ge4Pd2Pt2 (a DFT-relaxed cell (PBE, OQMD); Cu Kα X-rays).

Structure:
Unit cell a=13.065 b=13.065 c=13.065 alpha=161.85 beta=160.74 gamma=26.58
Sites, in units of the cell vectors:
Nd 0.000 0.000 0.000
Nd 0.352 0.852 0.500
Nd 0.648 0.148 0.500
Ge 0.193 0.693 0.500
Ge 0.451 0.451 0.000
Ge 0.549 0.549 0.000
Ge 0.807 0.307 0.500
Pd 0.096 0.596 0.500
Pd 0.904 0.404 0.500
Pt 0.250 0.250 0.000
Pt 0.750 0.750 0.000

Main lines, most intense first (15 to 90 degrees two-theta):
| 2θ/deg | I (rel.) |
| --- | --- |
| 33.03 | 100.0 |
| 41.34 | 35.9 |
| 32.87 | 27.5 |
| 43.94 | 22.0 |
| 61.89 | 15.8 |
| 44.33 | 15.6 |

* * * * *

(1)
Simulated powder diffractogram of SmMgTiO3 for copper Kα, from a crystal structure in the Materials Project, relaxed with PBE.
Kinematic intensities with the Lorentz-polarization factor, no thermal factor.

Most intense lines, 10 to 90 degrees two-theta, low angle first:
index  2θ/deg  I_rel
1 0 1  20.79  69.3
0 1 2  27.35  55.9
0 0 3  30.68  25.6
1 1 0  31.64  100.0
0 2 1  38.17  27.5
1 1 3  44.65  99.1
3 0 0  56.37  21.9
3 0 3  65.55  35.6
2 2 0  66.11  25.3
2 2 3  74.63  21.4

Cell and atoms:
- - -


It is siesta time in the town. Today, the silence of slumber is more complete even than usual, since the only citizen permitted to continue work after the midday curfew bell has for once elected to waive the privilege. His sleep seems all the deeper for its rarity, but no one could say that he has not earned it. He is the most accomplished theologian of the region and he has just finished the final draft of his magnum opus on freedom of choice. In the tiny study where most of this work has been written, his head rests on the keys of the antique typewriter that he has been using for years despite offers to buy him something more up to date from no less a figure than Cardinal Strega himself. Occasionally his shoulders twitch and his head lifts a few inches as if an awakening were imminent before (it is a large and weighty head) crashing back down onto the keys, so that a few unwanted letters and mathematical symbols have appeared, detracting somewhat from the intended solemnity and definitiveness of his last Amen. This is nothing that a little correcting fluid cannot put right, and of that substance there is never a shortage, as the theologian is a most severe self-critic. Somewhat more difficult to blot out will be the effects of the wolf-spider’s strike.Read more…